Computed, not measured: a geometry-optimized K5ZrTe5 structure at the PBE-GGA level of DFT.

Unit cell a=16.0893 b=6.5681 c=9.4941 alpha=90.00 beta=109.25 gamma=90.00
Space group C2/m (No. 12)
One atom of each set of equivalent atoms:
K: 0.0000 0.0000 0.0000 (multiplicity 2)
K: 0.1746 0.5000 0.3479 (multiplicity 4)
K: 0.1989 0.5000 0.8126 (multiplicity 4)
Zr: 0.0000 0.0000 0.5000 (multiplicity 2)
Te: 0.0000 0.5000 0.5000 (multiplicity 2)
Te: 0.1314 0.0000 0.3549 (multiplicity 4)
Te: 0.1400 0.0000 0.7909 (multiplicity 4)

Values from the calculation:
**Electronic total energy**: -3.555 eV/atom
**Total magnetization**: 2.0 μB per cell


{"formula": "NaSn2Pb2", "functional": "SCAN", "state": "PBEsol geometry", "cell": [[4.184, 0.000, 0.000], [0.000, 8.375, 0.000], [0.000, 0.000, 8.375]], "species": ["Pb", "Pb", "Pb", "Pb", "Na", "Na", "Sn", "Sn", "Sn", "Sn"], "frac_coords": [[0.500, 0.158, 0.658], [0.500, 0.658, 0.842], [0.500, 0.842, 0.342], [0.500, 0.342, 0.158], [0.000, 0.000, 0.000], [0.000, 0.500, 0.500], [0.000, 0.370, 0.870], [0.000, 0.870, 0.630], [0.000, 0.630, 0.130], [0.000, 0.130, 0.370]], "delta_e_f_ev_per_atom": -0.059, "crystal_system": "tetragonal"}


FeSiBP | Alexandria via LeMat-Bulk | PBE | optimized geometry; magnetization = 0.9 μB/f.u.; space group = R3m, No. 160; E_tot = -75.704 eV/cell; distance to the lowest polymorph of the same formula = 0.281 eV per atom
1.0
2.8415 0.0000 0.0000
-1.4207 2.4608 0.0000
0.0000 0.0000 18.3897
Fe Si B P
3 3 3 3
Cartesian
0.0000 0.0000 0.0000
0.0000 1.6405 12.2598
1.4208 0.8203 6.1299
0.0000 0.0000 14.0118
0.0000 1.6405 7.8819
1.4208 0.8203 1.7520
0.0000 0.0000 9.3820
0.0000 1.6405 3.2520
1.4208 0.8203 15.5118
0.0000 0.0000 4.4406
0.0000 1.6405 16.7004
1.4208 0.8203 10.5705


[1]
{
  "formula": "GdLuBi",
  "functional": "PBE",
  "state": "optimized geometry",
  "de_polymorph_ev_per_atom": 0.000,
  "space_group": "F-43m",
  "cell": [[-1.632, -0.895, 4.790], [-4.950, 0.686, 1.198], [-2.994, -4.060, 0.978]],
  "species": ["Bi", "Lu", "Gd"],
  "fractional_positions": [[0.000, 0.000, 0.000], [0.750, 0.750, 0.750], [0.250, 0.250, 0.250]]
}

[2]
{
  "formula": "NdDy2Cd3Au3",
  "functional": "PBE",
  "state": "optimized geometry",
  "space_group": "Amm2",
  "ef_ev_per_fu": -5.9,
  "cell": [[3.967, 0.000, 0.000], [0.000, 6.804, 3.901], [0.000, -6.804, 3.901]],
  "species": ["Nd", "Dy", "Dy", "Cd", "Cd", "Cd", "Au", "Au", "Au"],
  "fractional_positions": [[0.000, 0.596, 0.596], [0.000, 0.000, 0.404], [0.000, 0.404, 0.000], [0.500, 0.739, 0.002], [0.500, 0.260, 0.260], [0.500, 0.002, 0.739], [0.500, 0.328, 0.668], [0.500, 0.668, 0.328], [0.000, 0.002, 0.002]]
}


Entry 1:
An optimized crystal structure of CuAs2Au. Source: the Alexandria database, functional PBE-GGA.

Results
Relative energy among the computed polymorphs, eV/f.u.: 0.913
Size of the total moment, μB per formula unit: 0.000
DFT formation energy, eV per atom: 0.340
Electronic total energy, eV/cell: -15.3
Space-group type: No. 216

abc: 4.642 4.642 4.642
angles: 60.00 60.00 60.00
Fractional positions:
1 As 0.250 0.250 0.250
2 As 0.000 0.000 0.000
3 Cu 0.750 0.750 0.750
4 Au 0.500 0.500 0.500



Entry 2:
An optimized crystal structure of CuAs2Au. Source: the Alexandria database, functional PBE-GGA.

Results
Relative energy among the computed polymorphs, eV/f.u.: 0.578
Size of the total moment, μB per formula unit: 0.000
DFT formation energy, eV per atom: 0.256
Electronic total energy, eV/cell: -31.3
Space-group type: No. 122

abc: 5.661 5.661 6.884
angles: 65.72 65.72 90.00
Fractional positions:
1 Cu 0.500 0.500 0.000
2 Cu 0.250 0.750 0.500
3 As 0.375 0.404 0.750
4 As 0.875 0.846 0.750
5 As 0.596 0.125 0.250
6 As 0.154 0.625 0.250
7 Au 0.000 0.000 0.000
8 Au 0.750 0.250 0.500



Entry 3:
An optimized crystal structure of CuAs2Au. Source: the Alexandria database, functional PBE-GGA.

Results
Relative energy among the computed polymorphs, eV/f.u.: 0.291
Size of the total moment, μB per formula unit: 0.000
The reader should give back only the lines further up with the word "Computed" in them.
Computed, not measured: a geometry-optimized K5ZrTe5 structure at the PBE-GGA level of DFT.